Shanling T100 to the T200 shootout

I got a chance to listen to these two players today and was wondering what others think about these. First these are both really good players. I was listening to them on a really high end Krell (not sure the models .. really big monoblocks) and B&W signature 800 system. For me, I did not hear any memorable difference between the two for redbook CD. Some people have stated the T100 sounds better but I liked them both. SACD was quit interesting... I used the following disks: Chick Corea Rendezvous in NY, Moussorgsky Pictures at an Exhibition (telarc), and Monty meets Sly and Robbie (telarc). The last disc showed very little difference between CD and SACD I think do to the heavy bass like that dominates the recording. The CC showed little difference in instruments like the vibraphone and vocals (which surprised me) but a significant difference in the Piano. In CD mode the Piano seemed to be almost secondary to vocals and the vibes. In SACD mode the piano really stood out. It became really obvious that he was playing really fine grand piano and not something smaller. looking back at the liner notes it turns out to have been a 9 ft Yamaha concert grand. You could really hear the hammer hit. On the Moussorgsky the whole orchestra was bigger, more dynamic, and cleaner..

The one thing that did not really change was the imaging, both imaged well. The soundstage was not much bigger or wider it was just cleaner somehow. I'm thinking about picking up the T200 but I can get the T100 at a great price.

Material: NaTiBe3
Method: DFT, SCAN
State: PBEsol geometry

a = 4.6770 Å, b = 4.6770 Å, c = 4.6770 Å
α = 90.00°, β = 90.00°, γ = 90.00°
Last column: nearest neighbours and their distance in Å.
Space group Pm-3m (No. 221)
Symmetry-distinct sites (fractional):
Na 0.0000 0.0000 0.0000 [1 per cell]  12 Be 3.31
Ti 0.5000 0.5000 0.5000 [1 per cell]  6 Be 2.34
Be 0.0000 0.5000 0.5000 [3 per cell]  2 Ti 2.34

Computed properties:
ΔH_f (0 K): 1325 meV/atom
DOS at the Fermi energy: 3.46 states/eV per cell
electronic total energy: -5.337 eV per atom
V: 102.3 Å³ per cell

----------

Entry 1:
VASP calculation (PBE-GGA) on a geometry-optimized BaSn8Pd2 structure.

Unit cell a=6.4771 b=6.4771 c=8.7966 alpha=90.00 beta=90.00 gamma=90.00
With the nearest neighbours (Å) after each atom.
Space group P4/mmm (No. 123)
Symmetry-distinct sites (fractional):
Ba (0.0000, 0.0000, 0.0000) x1  8 Sn 3.64
Sn (0.2543, 0.2543, 0.3173) x8  2 Pd 2.80
Pd (0.0000, 0.5000, 0.5000) x2  8 Sn 2.80

Computed properties:
DFT formation energy   -222 meV per atom
Relative energy among the computed polymorphs   31 meV per atom
Electronic total energy   -46.8 eV per formula unit



Entry 2:
VASP calculation (PBE-GGA) on a geometry-optimized In3SiPb structure.

Unit cell a=5.7593 b=5.7593 c=5.7593 alpha=90.00 beta=90.00 gamma=90.00
With the nearest neighbours (Å) after each atom.
Space group Pm-3m (No. 221)
Symmetry-distinct sites (fractional):
In (0.0000, 0.0000, 0.5000) x3  2 Pb 2.88
Si (0.5000, 0.5000, 0.5000) x1  12 In 4.07
Pb (0.0000, 0.0000, 0.0000) x1  6 In 2.88

Computed properties:
Formation energy without anion corrections   4.93 eV per formula unit
Relative energy among the computed polymorphs   626 meV per atom
Electronic total energy   -12.4 eV per formula unit



Entry 3:
VASP calculation (PBE-GGA) on a geometry-optimized GePIr3 structure.

Unit cell a=4.4480 b=4.4480 c=4.4480 alpha=90.00 beta=90.00 gamma=90.00
With the nearest neighbours (Å) after each atom.
Space group Pm-3m (No. 221)
Symmetry-distinct sites (fractional):
Ge (0.0000, 0.0000, 0.0000) x1  12 Ir 3.15
P (0.5000, 0.5000, 0.5000) x1  6 Ir 2.22
Ir (0.0000, 0.5000, 0.5000) x3  2 P 2.22

Computed properties:
DFT formation energy   584 meV per atom
Relative energy among the computed polymorphs   0 meV per atom
Electronic total energy   -33.7 eV per formula unit



Entry 4:
VASP calculation (PBE-GGA) on a geometry-optimized Li2TaTl structure.

Unit cell a=4.6897 b=4.6897 c=6.6631 alpha=90.00 beta=90.00 gamma=90.00
With the nearest neighbours (Å) after each atom.
Space group I-4m2 (No. 119)
Symmetry-distinct sites (fractional):
Li (0.0000, 0.0000, 0.0000) x2  4 Ta 2.88, 4 Li 2.88
Li (0.0000, 0.5000, 0.2500) x2  4 Li 2.88, 4 Tl 2.88
Ta (0.0000, 0.5000, 0.7500) x2  4 Tl 2.88, 4 Li 2.88
Tl (0.0000, 0.0000, 0.5000) x2  4 Ta 2.88, 4 Li 2.88

Computed properties:
DFT formation energy   508 meV per atom
Electronic total energy   -16.0 eV per formula unit



Entry 5:

I only spent a couple of hours and would like to hear from someone that has spent some time with these players...

Next to the piece, the page also holds records of crystals >
/*
Material: BaLiCo2
Method: DFT, PBE
State: optimized geometry

abc: 5.3442 9.2160 3.2244
angles: 90.00 109.29 90.00
Closest atoms and distances in Å follow each position.
Space group C2/m (No. 12)
Symmetry-distinct sites (fractional):
1 Ba 0.0000 0.0000 0.0000 [2 per cell]  2 Li 2.67, 4 Co 2.88
2 Li 0.0000 0.5000 0.0000 [2 per cell]  2 Ba 2.67, 4 Co 2.88
3 Co 0.2500 0.2500 0.5000 [4 per cell]  2 Co 2.67, 2 Ba 2.88, 2 Li 2.88

Summary:
**Formation energy from the elements**: 0.837 eV/atom
**ΔE to the lowest computed polymorph**: 581 meV/atom

=====

Material: SrTePt2
Method: DFT, PBE
State: optimized geometry

abc: 4.4975 4.6832 5.0302
angles: 90.00 96.87 90.00
Closest atoms and distances in Å follow each position.
Space group Pm (No. 6)
Symmetry-distinct sites (fractional):
1 Sr 0.0000 0.0000 0.0000 [1 per cell]  7 Pt 3.12-3.49
2 Te 0.5925 0.5000 0.3465 [1 per cell]  4 Pt 2.56-2.67
3 Pt 0.4313 0.5000 0.8408 [1 per cell]  2 Te 2.56-2.67, 2 Pt 2.78
4 Pt 0.4623 0.0000 0.5464 [1 per cell]  2 Te 2.64, 2 Pt 2.78

Summary:
**ΔE to the lowest computed polymorph**: 0 meV/atom

=====

Material: GaPd14Pt
Method: DFT, PBE
State: optimized geometry

abc: 9.1357 5.5792 9.6193
angles: 90.00 90.00 90.00
Closest atoms and distances in Å follow each position.
Space group Amm2 (No. 38)
Symmetry-distinct sites (fractional):
1 Ga 0.0000 0.0000 0.0000 [2 per cell]  10 Pd 2.76-2.80, 2 Pt 2.79
2 Pd 0.0000 0.2491 0.2524 [4 per cell]  2 Pt 2.76-2.80, 2 Ga 2.76-2.80, 8 Pd 2.78-2.80
3 Pd 0.2460 0.2480 0.0828 [8 per cell]  1 Ga 2.76, 10 Pd 2.76-2.83, 1 Pt 2.77
4 Pd 0.2476 0.0000 0.8348 [4 per cell]  11 Pd 2.76-2.82, 1 Ga 2.76
5 Pd 0.2513 0.0000 0.3340 [4 per cell]  11 Pd 2.78-2.80, 1 Pt 2.80
6 Pd 0.5000 0.0000 0.1657 [2 per cell]  12 Pd 2.77-2.82
7 Pd 0.5000 0.0000 0.6656 [2 per cell]  12 Pd 2.78-2.83
8 Pd 0.5000 0.2493 0.9162 [4 per cell]  12 Pd 2.77-2.82
9 Pt 0.0000 0.0000 0.5006 [2 per cell]  10 Pd 2.76-2.80, 2 Ga 2.79

Summary:
**Formation energy from the elements**: -0.107 eV/atom

=====

Material: Tl2Pb2I
Method: DFT, PBE
State: optimized geometry

abc: 9.1418 9.1418 4.1066
angles: 90.00 90.00 90.00
Closest atoms and distances in Å follow each position.
Space group P4/mbm (No. 127)
Symmetry-distinct sites (fractional):
1 Tl 0.1773 0.3227 0.0000 [4 per cell]  6 Pb 3.27-3.48
2 Pb 0.1263 0.6263 0.5000 [4 per cell]  6 Tl 3.27-3.48, 1 Pb 3.27, 2 I 3.61
3 I 0.0000 0.0000 0.5000 [2 per cell]  4 Pb 3.61, 8 Tl 3.94

Summary:
**ΔE to the lowest computed polymorph**: 28 meV/atom

=====

Material: Ba5OsO8
Method: DFT, PBE
State: optimized geometry

abc: 7.9378 7.9378 9.4562
angles: 90.00 90.00 90.00
Closest atoms and distances in Å follow each position.
Space group I-4 (No. 82)
Symmetry-distinct sites (fractional):
1 Ba 0.0000 0.0000 0.0000 [2 per cell]  4 O 2.65
2 Ba 0.0979 0.7196 0.3909 [8 per cell]  3 O 2.47-2.68
3 Os 0.0000 0.5000 0.7500 [2 per cell]  4 O 1.81
4 O 0.0179 0.7158 0.6904 [8 per cell]  1 Os 1.81
5 O 0.0721 0.7062 0.1174 [8 per cell]  4 Ba 2.47-2.68

=====
*/

Showing 8 responses by btrvalik

I did not realise these have been selling poorly.. My local dealer said the T100 has been discontinued, hence the good price. One thing this has convinced me of is that the average consumer will never buy SACD just for better 2 channel audio. IMHO the differences between the two formats were subtle even on a super high-end system with me listening like a surgeon. If I did a direct switch between the formats on the current track it was obvious but if I listened from the beining to the CD layer it did not sound like anything was really lacking. Sort of like the tube vs transistor level of difference... maybe a little more. Maybe the wow factor of multi-channel will be enough to keep sacd and dvd-a didn't work for quad... I find it interesting that I've never walked into a high-end shop that has said "you got to hear this...I've got the new xxxx SA or DVD-A player" Even the drug pushers are not convinced..
It seems like many of the high-end SACD player are 2 channel. Currently I'm looking for a play for my 2 channel CJ based system so the lack of multi channel is not an issue. In my mind it is hard (and expensive) enough to put together a really nice 2 channel system. Between getting the room acoustics right and maintaining a good looking room 2 channel is all I can do on the main floor of the house. My main issue is that I don't upgrade often so my decision will stick for a number of years. I will buy a universal player of some sort this fall for my HT system to experience the whole multichannel audio thing. This room is a play room where looks are not as important and I will be willing to give up some sonics.. it's primarily for movies. I think I'm going to have to give these another listen...
Fs_audio, I've seen pictures of the Xindak but have not see any reviews of it. I just email the distributor to see if there is a dealer in my area. Care to give a "unbiassed" review? I would like to understand what you like about this over the shanling...
I went back to listen to these players today. I'm convinced they sound equally good on CD. I'm not convinced that the t200 sounds better on SACD. Part of my problem is that the t200 had difficulty playing hybrid discs as CD. It worked some of the time but more often than not it told me there was "no disc".. excuse me? what was that shiny thing you just spun for the last minute? Sometimes it would just skip ahead until it found a track it liked. I did a little playing with volume levels and I'm starting to think that my conclusion of SACD being better for certain types of instruments may just be level mismatch.

I still have not listened to multi-channel SACD since I’m looking for a 2 channel player at the moment. I will tackle the multi-channel issue when I finish my HT room later this year. I’m not sure if multi-channel SACD/DVD will be better that CD but I’m sure it will be obviously different. I’m not sure SACD is obviously different (good or bad) than CD. So why am I trying so had to convince myself SACD is better for 2 channel ??? I’m on the typical quest for better… To be honest I'm not a guy that thinks CD sound harsh...I actually like the way my CDs sound.. my CDP is just acting flaky.. is it just my tube gear that makes CDs sound good to me??? But then again I liked CDs with my mosfet amp to..

If SACD or DVD-A is better why is everyone debating it so heavily? Shouldn’t it be obvious by now? I’ve seen more conviction over the sonic benefits for items like cables, power cords and even green markers than SACD or DVD-A. The differences between LP to CD was obvious.. the difference between VHS and DVD was obvious. Some debated the merits but no one debated if there is a difference.. I don’t upgrade often and I would not consider either of these cheap. I’m trying to pick a player for the next 5 years and I’m just getting confused and frustrated. Admittedly neither of these is a bad choice and if they were the same price it would be easy. Argggg
The 777 seems to be a fine player but I think if I'm going to go multi-channel I may as well get a universal player with video. At this point I'm thinking about just buying the T100 (for my 2 channel music only system) at a good price and use the price difference to buy a universal player for my HT room. I can either just buy something moderately priced like the Pioneer 47ia or Dennon 2900, or pick up something like the McCormack in the fall. If I really decide that I'm missing out on SACD in the music room I could run a set of balanced interconnects from by HT room to my 2 channel room. It won't be as convenient as having the player in the same room but it will allow me to use my tube amp with SACD/DVD-A.

I did a little searching last night and I'm amazed at how many post on various site I've see where people have already bought into and give up on SACD or DVD-A. Most people site a lack of software and being under whelmed after the new toy glow wares off.

One of the attractions of this hobby is the process of making trade-offs and building a system that suits some personal needs. I found that the process of selecting other components (tube vs trans amp/preamp, speakers, etc)and making trade-offs to be fun. With these components no matter what the choice you are almost guarrenteed they will work well into the future.

The whole SACD/DVD-A/CD issue has been frustrating since the future value of the equipment is less in the hands of the audiophile and more in the hands of the vendors. If for example SACD dies on the vine you will have just bought into the next divix or minidisc. If it flurishes and you invested your money elsewhere you will have bought one of the last beta machines.. maybe on that bad since CD is not going away but you get the point...

Well this has turned into yet another long winded ramble...
That is exactly what I have in mind... I'm planning to use this for distributing movies from a DVD changer to three other TVs/HT amps in the house so adding another link for music would not be that big of a deal. I would still do the t100 since the whole point of my 2 channel setup is to keep it simple (CD, preamp, amp). Sending the signal half way across the house should have some sonic drawback. Did you ever try sticking the AC unit on a processor look to see if it had an impact? Someone also suggested looking at the Jensen transformers.. seems like a lot of high-end companies use these. I've heard that Sony is planing to introduce a 400 disk DVD/SACD machine this fall. I don't expect the sonics to be great but who knows maybe of they do a ES version it will be fairly good... Where did you get the AC units?
I'll take your list as being pointed and not a flame...

1) the system does not have the capability to show the differences

The system used for the test (about 30-40K worth of Krell and B&W) is most likely more accurate than my CJ based system at home. So if it takes a better system than either of these the difference is kind of subtle..

2) they themselves do not have the capability of hearing the difference

Could be the case, if it is all the better.. I can use the cash to buy other expensive toys... I'm not trying to sway anyones opion here I'm just tying to figure out what I want to buy...

3) is lying

This is a bit accusatory.. The fact of the matter is I really want to convince myself high res is better... the math says it is.. I really want to buy a SACD player.. the problem is I can't seem to lie to myself...

4) owns a VERY special CD player. And, please let's not flatter ourselves here, most of us do not

I'm currently using a rather old Sony ES that is not bad but not even SLIGHTLY special..

5) has not listened to the new format in an appropriate setting
If I can't hear the difference in a fully treated room.. what is the chase my house is more appropriate ? If you look back at my original post my first impression was that SACD was better. On a second extended listen I'm not so sure... I still find it interesting that the guys at the audio store who tend to profit more if I buy the SACD player are not so convinced either. They just say "it's a different sound.. some like it some don't". On other gear they are very clear as to what they like and don't like about the gear they carry.

Beyond all that ... you hit the nail on the head..the real issue is the software. If the difference is not something that most audiophiles adore the average joe does not stand a chance. Without the average Joe SACD does not stand a chance. Let's face it Sony & Phillips are in it for the money.. they are hoping their investment in SACD pays off. If it does not it will die on the vine. These guys are in trouble since their royalties on the original CD patent have already or will soon run out. That is not to say SACD is just hype by a big nasty corpration... I would do the same thing... If the revenue from a current product is going to go down I will do my best to come up with the next best thing... It just may be too good for simple cash spending mortals.
I decided to pick up the T100 yesterday... and I love it. I brought it home, set it up. popped in a few favorite discs and enjoyed... no analysis required. My basic thoughts at this stage are that I will optimize my 2 channel setup for redbook and my HT setup for SACD & DVD-A. My 2 channel system is based on CJ tube gear and the shanling, my multi channel system is based on rotel, and tweaked to death halfer amps. I've got tubes to work there magic on redbook and SS for the extra punch of SACD (with less need for smoothing)

So here is the big shocker...

I really like upsampling... I've always thought this was pure marketing hype... just a new word for oversampling. I did not really pay much attention to upsampling when I was at the store... just so happened that the players I like the most: cary musical fidelity, and shanling all up sample. I also really liked the sim audio players which do not.. The T100 lets you switch it on/off on the fly so it is a real easy A/B. The shocking thing to me was that I notice more of a difference with the upsampling on/off than between SACD & CD. ...Don't go nuts I'm not saying upsampling is better than SACD.. As discussed here before upsampling is just oversampling with a different noise more information.. To me the soundstage seems bigger and deeper..but why?

This got me thinking a bit...

Here a complete guess so don't take this too serious... The thing I do for a living is build Voice /IP gear for large telephone carriers. One of the things we do is generate something called comfort noise. VoIP can be heavily compressed depending on the codec used. When it is received on the other side, the background noise has been removed via something called silence suppression. The dead silence (between words) is not desirable to someone listening on the other end since they are use to hearing background noise. Voice quality is judged with something called a MOS (mean opinion score). If we inject artificial noise (comfort noise) into the receiving end the MOS jumps by a huge amount. There is obviously no new information in the audio stream but it is pleasing to the listener and get a higher subjective score. If we measured the signal it would be worst since it contains more noise... I'm wondering if there is a similar situation in audio with tube gear, vinyl, and upsampling, etc... vs transistors, CD, and SACD.